In anticipation of future onsite visit activities of the Asia-Pacific Accreditation and Certification Commission (APACC) in Malaysia and to better prepare polytechnic institutions and community colleges for the requirements of regional quality assurance systems, an in-country program focusing on the Quality Assurance in TVET through APACC Accreditation was held at the Politeknik Kuching in Sarawak, Malaysia from April 23-27, 2018. It involved the participation of 40 administrators from all over the country.
Ms. Therese Lee, the program coordinator (center) signs the Guest Book as officials from Politeknik Kuching observews.
Themes discussed during the 5-day event included the concept of quality assurance in TVET, regional quality standards of TVET Institutions, methods on Self-Assessment, Implementing Quality Assurance in TVET, Internal Quality Assurance for TVET Institutions, External Quality Assurance through APACC, Issues and Challenges on TVET Quality Assurance and Best Practices in ASEAN Countries on TVET Quality Assurance Systems.
The program was supervised by the Director General of CPSC and President of APACC, Dr. Ramhari Lamichhane and the Director General of the Department of Polytechnic and Community College Education, Prof. Dato' Dr. Mohd Ismail Bin Abd Aziz. CPSC’s Faculty Specialist, Ms. Therese Tan Lee was the overall coordinator of the program and the main resource person. Program logistics on the other hand was facilitated by Nurhafizah Binti Yahaya, Senior Assistant Director of the Professional Excellence Division at the Department of Polytechnic Education. A discussion of the local scenario meanwhile was delivered by Ms. Yusma Binti Yusof, Deputy Director (Academic) of Politeknik Port Dickson (PPD) and Pn. Noor Aidi Bt Nadzri, Director of the Curriculum Development Division, Department of Polytechnic Education.
Ms. Therese Lee, ICP Malaysia Program Coordinator, addressing the participants on behalf of CPSC.
The opening ceremony was held on April 23 and attended by several officials from the Department of Polytechnic Education namely Mr Haji Mohamad Amin Bin Hamat (Deputy Director General for Strategics), Mr. Mohamad Isa Bin Azhari (Director of Professional Excellence Division) and Dr Zainal Azhar Bin Zainal Abidin (Director of Instructional and Digital Learning Division).
____________
Arrangement i

96
Properties=species:S:1:pos:R:3 method="wB97M-V/def2-TZVPD" spin_multiplicity=1 gap_ev=8.306 total_charge=0
N -1.04 -1.13 1.82
C -0.56 -2.29 2.19
N 0.64 -2.55 1.87
O -1.44 -3.21 2.79
H -1.98 -0.83 2.04
H -0.43 -0.35 1.49
H 0.97 -3.46 2.13
H 1.20 -1.90 1.37
N -1.93 3.28 -0.68
C -1.99 1.98 -0.51
N -1.24 1.30 -1.29
O -2.73 1.34 0.43
H -2.66 3.81 -0.16
H -1.23 3.80 -1.17
H -1.38 0.23 -1.34
H -0.78 1.78 -2.05
N 1.87 -0.82 -0.14
C 1.71 0.08 0.78
N 0.60 0.68 0.63
O 2.48 0.25 1.88
H 2.83 -1.15 -0.26
H 1.09 -0.88 -0.81
H 0.31 1.21 1.51
H -0.08 0.93 -0.14
C -0.33 5.42 -2.95
C 0.36 4.05 -2.92
C 1.10 3.82 -1.59
O -0.39 3.09 -3.19
H 0.40 6.19 -2.71
H -1.10 5.52 -2.13
H -0.86 5.57 -3.89
H 1.09 4.09 -3.70
H 2.01 4.23 -1.44
H 1.39 2.80 -1.50
H 0.59 4.19 -0.69
H -0.90 3.30 -3.99
C 1.17 1.13 5.45
C 0.80 -0.10 4.62
C 1.83 -1.15 4.87
O -0.31 -0.65 4.88
H 2.19 1.41 5.42
H 0.89 0.98 6.46
H 0.50 1.93 5.08
H 0.85 0.20 3.60
H 2.87 -0.76 4.66
H 1.63 -2.04 4.19
H 1.78 -1.51 5.90
H -1.06 -0.05 4.55
C -1.23 4.16 3.45
C -0.64 3.39 2.34
C 0.89 3.37 2.49
O -0.95 2.18 2.33
H -2.25 4.06 3.65
H -1.10 5.27 3.28
H -0.68 3.78 4.33
H -0.96 3.75 1.38
H 1.43 2.94 1.63
H 1.16 2.91 3.47
H 1.24 4.43 2.55
H -1.92 2.00 2.16
C 1.95 -0.02 -3.59
C 0.60 -0.73 -3.54
C 0.54 -1.90 -4.46
O 0.33 -1.18 -2.40
H 2.25 0.26 -4.55
H 2.68 -0.73 -3.24
H 1.87 0.82 -2.96
H -0.10 0.09 -3.73
H 0.80 -1.63 -5.48
H -0.47 -2.29 -4.49
H 1.22 -2.57 -4.09
H -0.59 -1.48 -2.37
C -4.00 -1.46 -1.23
C -2.70 -2.16 -0.95
C -2.22 -2.95 -2.21
O -1.76 -1.34 -0.74
H -4.64 -2.25 -1.68
H -3.81 -0.57 -1.86
H -4.49 -1.03 -0.34
H -2.68 -2.86 -0.09
H -2.03 -2.29 -3.07
H -2.87 -3.82 -2.58
H -1.35 -3.43 -1.90
H -1.64 -1.17 0.23
C 1.49 -6.36 -0.95
C 1.33 -4.84 -0.64
C 1.80 -4.01 -1.84
O 0.16 -4.50 -0.24
H 1.26 -6.95 -0.10
H 2.48 -6.66 -1.19
H 0.89 -6.60 -1.82
H 2.10 -4.62 0.08
H 2.12 -2.96 -1.59
H 0.95 -3.82 -2.48
H 2.64 -4.41 -2.32
H 0.14 -3.60 -0.01

***

Arrangement ii

96
Properties=species:S:1:pos:R:3 method="wB97M-V/def2-TZVPD" spin_multiplicity=1 gap_ev=9.152 total_charge=0
N -9.16 2.64 -18.24
C -10.01 2.34 -17.29
N -10.77 1.28 -17.54
O -10.14 3.00 -16.27
H -8.69 3.54 -18.16
H -9.09 2.11 -19.09
H -11.40 1.11 -16.77
H -10.76 0.62 -18.31
N -2.82 11.69 -22.52
C -2.87 10.43 -22.35
N -3.02 10.01 -21.15
O -2.72 9.71 -23.34
H -2.64 12.23 -21.69
H -2.83 12.12 -23.44
H -3.31 10.58 -20.36
H -2.93 9.02 -20.98
N -5.54 12.15 -19.61
C -4.85 13.20 -19.34
N -4.37 13.18 -18.11
O -4.42 14.03 -20.10
H -6.14 12.19 -20.42
H -5.98 11.78 -18.78
H -3.52 13.70 -17.95
H -4.61 12.46 -17.45
C -6.63 10.17 -14.97
C -6.83 10.78 -16.33
C -7.69 12.09 -16.41
O -5.51 11.10 -16.79
H -5.80 9.46 -14.94
H -7.48 9.66 -14.52
H -6.39 10.91 -14.20
H -7.05 10.00 -17.05
H -7.49 12.48 -17.41
H -7.48 12.93 -15.76
H -8.67 11.70 -16.13
H -5.08 10.24 -16.78
C -9.30 3.38 -24.20
C -9.94 2.94 -22.77
C -9.56 3.85 -21.57
O -11.31 3.12 -23.03
H -8.33 2.90 -24.33
H -9.04 4.44 -24.22
H -9.95 3.11 -25.04
H -9.73 1.88 -22.60
H -10.14 3.59 -20.68
H -9.88 4.86 -21.82
____________
In his opening speech, the Director, Polytechnic Kuching Sarawak, Lt. Col. Bersekutu Kalamudin Bin Daud, welcomed the participants of the program and cited the progress that the institution has done in the past years. He also wished for the success of the participants in their preparation for APACC activities in the future. During the 5-day program, the participants were able to prepare process flowcharts, analyze cases, prepare quality assurance implementation plan, conduct a mock compliance audit and prepare action plans as part of their. They were also able to examine each APACC criterion as a way to get ready for possible challenges that may face during the actual audit exercise.
The program ended on a high note as a cultural presentation showcasing the rich and interesting dances of the State of Sarawak was performed by the students. In response to the organizers’ hospitality and the cooperation of the participants during the duration of the event, Ms. Therese Lee cited the relevance of this program in facilitating the identification of the institutions’ status in “terms of providing quality TVET training and extension services to all of its stakeholders”. She also mentioned the need for the participants to take as many learnings as possible to their respective institutions and encourage the adoption of quality standards in their respective operations. In conclusion, she thanked the participants for their cooperation and willingness to learn. She also wished for the success of the institutions in their future journey on APACC accreditation.
(Left photo) Ms. Therese Lee with some program participants during the closing ceremony. (Right photo) The participants doing a mock audit.
The program participants during one of the lectures